Please reproduce all of the material underneath without additions.

<<<
Record 1
The following is a theoretical powder diffraction line list of Rb4ZnAu4. It was derived from a structure optimized by DFT (GGA-PBE), using Cu Kα (λ = 1.5418 Å).

Cell and atoms:
```
data_Rb4ZnAu4
_chemical_formula_sum 'Rb8 Zn2 Au8'
_cell_length_a 9.5484
_cell_length_b 9.5484
_cell_length_c 7.0554
_cell_angle_alpha 90.00
_cell_angle_beta 90.00
_cell_angle_gamma 90.00
_symmetry_space_group_name_H-M 'P 42/n'
_symmetry_Int_Tables_number 86
loop_
_symmetry_equiv_pos_as_xyz
'x,y,z'
'-x,-y,-z'
'-y,x+1/2,z+1/2'
'y,-x+1/2,-z+1/2'
'-x+1/2,-y+1/2,z'
'x+1/2,y+1/2,-z'
'y+1/2,-x,z+1/2'
'-y+1/2,x,-z+1/2'
loop_
_atom_site_label
_atom_site_type_symbol
_atom_site_fract_x
_atom_site_fract_y
_atom_site_fract_z
Rb1 Rb 0.0355 0.6763 0.1039
Zn1 Zn 0.2500 0.2500 0.2500
Au1 Au 0.0358 0.3728 0.4076
```

Principal peaks in the range 2θ = 5–70°, sorted by position:
(hkl), Position (°2θ), intensity
1 0 1, 15.62, 28
1 1 1, 18.19, 51
2 0 0, 18.59, 24
1 0 2, 26.94, 26
3 1 0, 29.58, 80
1 2 2, 32.93, 100

=====

Record 2
The following is a theoretical powder diffraction line list of RbMnTlSe3. It was derived from a structure optimized by DFT (GGA-PBE), using Cu Kα (λ = 1.5418 Å).

Cell and atoms:
```
data_RbMnTlSe3
_chemical_formula_sum 'Rb4 Mn4 Tl4 Se12'
_cell_length_a 7.4678
_cell_length_b 14.9017
_cell_length_c 6.9150
_cell_angle_alpha 90.00
_cell_angle_beta 90.00
_cell_angle_gamma 90.00
_symmetry_space_group_name_H-M 'C m c m'
_symmetry_Int_Tables_number 63
_symmetry_space_group_name_Hall '-C 2c 2'
loop_
_atom_site_label
_atom_site_type_symbol
_atom_site_fract_x
_atom_site_fract_y
_atom_site_fract_z
Rb1 Rb 0.0000 0.2228 0.2500
Mn1 Mn 0.0000 0.0455 0.7500
Tl1 Tl 0.0000 0.3996 0.7500
Se1 Se 0.0000 0.2068 0.7500
Se2 Se 0.2165 0.0000 0.0000
```

Principal peaks in the range 2θ = 5–70°, sorted by position:
(hkl), Position (°2θ), intensity
1 1 1, 18.47, 44
2 0 0, 23.84, 36
1 3 1, 25.09, 86
1 5 0, 32.34, 52
2 0 2, 35.39, 100
0 6 2, 44.98, 37

=====

Record 3
The following is a theoretical powder diffraction line list of Y2In5Pd3. It was derived from a structure optimized by DFT (GGA-PBE), using Cu Kα (λ = 1.5418 Å).

Cell and atoms:
```
data_Y2In5Pd3
_chemical_formula_sum 'Y8 In20 Pd12'
_cell_length_a 4.5278
_cell_length_b 26.8008
_cell_length_c 7.2386
_cell_angle_alpha 90.00
_cell_angle_beta 90.00
_cell_angle_gamma 90.00
_symmetry_space_group_name_H-M 'C m c 21'
_symmetry_Int_Tables_number 36
loop_
_symmetry_equiv_pos_as_xyz
'x,y,z'
'-x,-y,z+1/2'
'-x,y,z'
'x,-y,z+1/2'
'x+1/2,y+1/2,z'
'-x+1/2,-y+1/2,z+1/2'
'-x+1/2,y+1/2,z'
'x+1/2,-y+1/2,z+1/2'
loop_
_atom_site_label
_atom_site_type_symbol
_atom_site_fract_x
_atom_site_fract_y
_atom_site_fract_z
Y1 Y 0.0000 0.0210 0.0000
Y2 Y 0.0000 0.3251 0.9307
In1 In 0.0000 0.0983 0.6319
In2 In 0.0000 0.2068 0.1346
In3 In 0.0000 0.2080 0.7195
In4 In 0.0000 0.3761 0.4793
In5 In 0.0000 0.4470 0.8304
Pd1 Pd 0.0000 0.1088 0.2446
Pd2 Pd 0.0000 0.2732 0.4250
Pd3 Pd 0.0000 0.4550 0.2221
```

Principal peaks in the range 2θ = 5–70°, sorted by position:
(hkl), Position (°2θ), intensity
1 1 2, 31.83, 34
1 7 1, 33.04, 67
1 3 2, 33.24, 100
1 9 0, 36.10, 31
0 4 3, 39.66, 31
2 0 0, 39.82, 60

=====

Record 4
The following is a theoretical powder diffraction line list of NiOsRu. It was derived from a structure optimized by DFT (GGA-PBE), using Cu Kα (λ = 1.5418 Å).

Cell and atoms:
```
data_NiOsRu
_chemical_formula_sum 'Ni4 Os4 Ru4'
_cell_length_a 7.9658
_cell_length_b 4.5983
_cell_length_c 5.1284
_cell_angle_alpha 90.00
_cell_angle_beta 123.12
_cell_angle_gamma 90.00
_symmetry_space_group_name_H-M 'C 1 2 1'
_symmetry_Int_Tables_number 5
loop_
_symmetry_equiv_pos_as_xyz
'x,y,z'
'-x,y,-z'
'x+1/2,y+1/2,z'
'-x+1/2,y+1/2,-z'
loop_
_atom_site_label
_atom_site_type_symbol
_atom_site_fract_x
_atom_site_fract_y
_atom_site_fract_z
Ni1 Ni 0.0000 0.0000 0.0000
Ni2 Ni 0.0000 0.1688 0.5000
Os1 Os 0.1699 0.4969 0.0018
Ru1 Ru 0.1682 0.6685 0.4992
```

Principal peaks in the range 2θ = 5–70°, sorted by position:
(hkl), Position (°2θ), intensity
>>>

Record 1
The following is a theoretical powder diffraction line list of Rb4ZnAu4. It was derived from a structure optimized by DFT (GGA-PBE), using Cu Kα (λ = 1.5418 Å).

Cell and atoms:
```
data_Rb4ZnAu4
_chemical_formula_sum 'Rb8 Zn2 Au8'
_cell_length_a 9.5484
_cell_length_b 9.5484
_cell_length_c 7.0554
_cell_angle_alpha 90.00
_cell_angle_beta 90.00
_cell_angle_gamma 90.00
_symmetry_space_group_name_H-M 'P 42/n'
_symmetry_Int_Tables_number 86
loop_
_symmetry_equiv_pos_as_xyz
'x,y,z'
'-x,-y,-z'
'-y,x+1/2,z+1/2'
'y,-x+1/2,-z+1/2'
'-x+1/2,-y+1/2,z'
'x+1/2,y+1/2,-z'
'y+1/2,-x,z+1/2'
'-y+1/2,x,-z+1/2'
loop_
_atom_site_label
_atom_site_type_symbol
_atom_site_fract_x
_atom_site_fract_y
_atom_site_fract_z
Rb1 Rb 0.0355 0.6763 0.1039
Zn1 Zn 0.2500 0.2500 0.2500
Au1 Au 0.0358 0.3728 0.4076
```

Principal peaks in the range 2θ = 5–70°, sorted by position:
(hkl), Position (°2θ), intensity
1 0 1, 15.62, 28
1 1 1, 18.19, 51
2 0 0, 18.59, 24
1 0 2, 26.94, 26
3 1 0, 29.58, 80
1 2 2, 32.93, 100

=====

Record 2
The following is a theoretical powder diffraction line list of RbMnTlSe3. It was derived from a structure optimized by DFT (GGA-PBE), using Cu Kα (λ = 1.5418 Å).

Cell and atoms:
```
data_RbMnTlSe3
_chemical_formula_sum 'Rb4 Mn4 Tl4 Se12'
_cell_length_a 7.4678
_cell_length_b 14.9017
_cell_length_c 6.9150
_cell_angle_alpha 90.00
_cell_angle_beta 90.00
_cell_angle_gamma 90.00
_symmetry_space_group_name_H-M 'C m c m'
_symmetry_Int_Tables_number 63
_symmetry_space_group_name_Hall '-C 2c 2'
loop_
_atom_site_label
_atom_site_type_symbol
_atom_site_fract_x
_atom_site_fract_y
_atom_site_fract_z
Rb1 Rb 0.0000 0.2228 0.2500
Mn1 Mn 0.0000 0.0455 0.7500
Tl1 Tl 0.0000 0.3996 0.7500
Se1 Se 0.0000 0.2068 0.7500
Se2 Se 0.2165 0.0000 0.0000
```

Principal peaks in the range 2θ = 5–70°, sorted by position:
(hkl), Position (°2θ), intensity
1 1 1, 18.47, 44
2 0 0, 23.84, 36
1 3 1, 25.09, 86
1 5 0, 32.34, 52
2 0 2, 35.39, 100
0 6 2, 44.98, 37

=====

Record 3
The following is a theoretical powder diffraction line list of Y2In5Pd3. It was derived from a structure optimized by DFT (GGA-PBE), using Cu Kα (λ = 1.5418 Å).

Cell and atoms:
```
data_Y2In5Pd3
_chemical_formula_sum 'Y8 In20 Pd12'
_cell_length_a 4.5278
_cell_length_b 26.8008
_cell_length_c 7.2386
_cell_angle_alpha 90.00
_cell_angle_beta 90.00
_cell_angle_gamma 90.00
_symmetry_space_group_name_H-M 'C m c 21'
_symmetry_Int_Tables_number 36
loop_
_symmetry_equiv_pos_as_xyz
'x,y,z'
'-x,-y,z+1/2'
'-x,y,z'
'x,-y,z+1/2'
'x+1/2,y+1/2,z'
'-x+1/2,-y+1/2,z+1/2'
'-x+1/2,y+1/2,z'
'x+1/2,-y+1/2,z+1/2'
loop_
_atom_site_label
_atom_site_type_symbol
_atom_site_fract_x
_atom_site_fract_y
_atom_site_fract_z
Y1 Y 0.0000 0.0210 0.0000
Y2 Y 0.0000 0.3251 0.9307
In1 In 0.0000 0.0983 0.6319
In2 In 0.0000 0.2068 0.1346
In3 In 0.0000 0.2080 0.7195
In4 In 0.0000 0.3761 0.4793
In5 In 0.0000 0.4470 0.8304
Pd1 Pd 0.0000 0.1088 0.2446
Pd2 Pd 0.0000 0.2732 0.4250
Pd3 Pd 0.0000 0.4550 0.2221
```

Principal peaks in the range 2θ = 5–70°, sorted by position:
(hkl), Position (°2θ), intensity
1 1 2, 31.83, 34
1 7 1, 33.04, 67
1 3 2, 33.24, 100
1 9 0, 36.10, 31
0 4 3, 39.66, 31
2 0 0, 39.82, 60

=====

Record 4
The following is a theoretical powder diffraction line list of NiOsRu. It was derived from a structure optimized by DFT (GGA-PBE), using Cu Kα (λ = 1.5418 Å).

Cell and atoms:
```
data_NiOsRu
_chemical_formula_sum 'Ni4 Os4 Ru4'
_cell_length_a 7.9658
_cell_length_b 4.5983
_cell_length_c 5.1284
_cell_angle_alpha 90.00
_cell_angle_beta 123.12
_cell_angle_gamma 90.00
_symmetry_space_group_name_H-M 'C 1 2 1'
_symmetry_Int_Tables_number 5
loop_
_symmetry_equiv_pos_as_xyz
'x,y,z'
'-x,y,-z'
'x+1/2,y+1/2,z'
'-x+1/2,y+1/2,-z'
loop_
_atom_site_label
_atom_site_type_symbol
_atom_site_fract_x
_atom_site_fract_y
_atom_site_fract_z
Ni1 Ni 0.0000 0.0000 0.0000
Ni2 Ni 0.0000 0.1688 0.5000
Os1 Os 0.1699 0.4969 0.0018
Ru1 Ru 0.1682 0.6685 0.4992
```

Principal peaks in the range 2θ = 5–70°, sorted by position:
(hkl), Position (°2θ), intensity